-- begin --
Density functional theory data (GGA+U) for an optimized crystal structure of LiVP4H4O14.

Cell lengths 5.231, 7.188, 8.077 Å; angles 81.72, 81.16, 69.44 degrees
Sites, in units of the cell vectors:
Li1 0.000 0.000 0.000
V1 0.000 0.500 0.000
P1 0.319 0.220 0.309
P2 0.377 0.626 0.227
P3 0.623 0.374 0.773
P4 0.681 0.780 0.691
H1 0.104 0.797 0.433
H2 0.308 0.021 0.628
H3 0.692 0.979 0.372
H4 0.896 0.203 0.567
O1 0.167 0.254 0.155
O2 0.182 0.686 0.090
O3 0.183 0.157 0.476
O4 0.286 0.782 0.358
O5 0.324 0.405 0.832
O6 0.351 0.428 0.337
O7 0.381 0.928 0.732
O8 0.619 0.072 0.268
O9 0.649 0.572 0.663
O10 0.676 0.595 0.168
O11 0.714 0.218 0.642
O12 0.817 0.843 0.524
O13 0.818 0.314 0.910
O14 0.833 0.746 0.845

Results
Calculated density = 2.4 g/cm3
V = 11.7 Å³ per atom
Total energy = -6.66 eV/atom
Distance to the lowest polymorph of the same formula = 0.00 kJ/mol of atoms
Calculated formation energy = -2324 meV per atom

~~~~~

# 1
14
Lattice="0.000 -4.476 0.000 6.716 -2.238 -4.962 6.712 -2.238 5.018" Properties=species:S:1:pos:R:3 comment="Pr3Sb4Pt7, relaxed, DFT PBE-GGA" sg="No. 12" final_energy_ev_per_atom=-6.08 pbc="T T T"
Pt 10.927 -4.476 1.411
Pt 6.712 -2.238 2.263
Pt 8.483 -4.476 -2.291
Pt 6.714 -4.476 0.028
Pt 6.716 -6.713 -2.207
Pt 4.945 -4.476 2.347
Pt 2.501 -4.476 -1.355
Sb 2.366 -4.476 1.292
Sb 5.086 -4.476 -2.212
Sb 8.342 -4.476 2.268
Sb 11.062 -4.476 -1.236
Pr 0.000 -2.238 0.000
Pr 8.973 -6.713 -0.066
Pr 4.455 -2.238 0.122

# 2
20
Lattice="7.971 -3.408 0.024 -5.427 -5.312 4.183 -2.684 1.016 -8.181" Properties=species:S:1:pos:R:3 comment="Pr3Sb4Pt3, relaxed, DFT PBE-GGA" sg="No. 220" final_energy_ev_per_atom=-5.93 pbc="T T T"
Sb -1.417 -3.210 2.096
Sb 3.549 -1.539 -1.318
Sb 2.207 -1.031 -5.409
Sb 2.569 -4.914 2.108
Sb -0.047 -2.599 -1.341
Sb -2.224 -0.356 -3.410
Sb -0.116 -6.451 -3.327
Sb -4.938 -3.012 -1.319
Pt -2.405 -3.791 -0.447
Pt -0.045 -1.971 -4.058
Pt 4.284 -2.884 -5.592
Pt -5.422 -3.521 -4.018
Pt 2.276 -3.868 -0.461
Pt 0.895 -7.077 2.656
Pr -2.415 -3.836 -3.512
Pr 2.266 -3.913 -3.526
Pr -4.423 -4.820 1.618
Pr 5.283 -4.183 0.044
Pr -0.094 -5.733 0.085
Pr -1.034 -0.627 -6.629

# 3
6
Lattice="3.972 1.787 -1.458 -3.364 -0.874 -3.002 -2.974 7.540 1.138" Properties=species:S:1:pos:R:3 comment="PrSbPt, relaxed, DFT PBE-GGA" sg="No. 186" final_energy_ev_per_atom=-6.10 pbc="T T T"
Pr -0.746 1.890 0.285
Pr -2.233 5.660 0.854
Sb -2.444 3.881 -1.904
Sb 1.488 0.998 -1.958
Pt 0.152 4.385 -1.447
Pt -3.780 7.268 -1.393

# 4
78
Lattice="-4.806 -4.715 12.418 -5.397 11.837 5.505 -2.825 -5.420 -12.735" Properties=species:S:1:pos:R:3 comment="Pr8Sb14Pt17, relaxed, DFT PBE-GGA" sg="No. 108" final_energy_ev_per_atom=-5.96 pbc="T T T"
Sb -9.540 5.433 6.694
Sb -8.943 6.243 15.711
Sb -11.379 2.406 7.250
Sb -8.204 6.066 3.576
Sb -3.842 2.682 6.749
Sb -7.909 -2.210 7.033
Sb -9.556 6.957 11.374
Sb -3.910 -1.700 7.911
Sb -4.258 -3.193 -0.152
Sb -6.030 9.895 7.319
Sb -9.523 2.718 13.077
Sb -8.208 -3.719 -1.792
Sb -8.492 6.547 -1.139
Sb -8.169 -5.820 3.959
Sb -2.726 0.048 -0.169
Sb -4.567 3.246 2.407
Sb -7.765 -0.877 10.212
Sb -2.481 -2.396 -4.279
Sb -6.034 3.117 -3.670
Sb -8.310 -1.878 2.313
Sb -6.291 -0.788 -1.866
Sb -6.184 1.354 -7.877
Sb -4.300 -0.938 4.222
Sb -5.897 6.173 8.873
Sb -8.343 2.361 0.610
Sb -7.614 2.050 4.313
Sb -8.075 -7.441 -0.238
Sb -7.814 3.242 8.947
Pt -8.236 -3.239 4.597
Pt -8.081 1.720 11.160
Pt -10.065 5.365 13.413
Pt -5.725 -5.225 -6.470
Pt -7.376 1.678 -1.703
Pt -0.010 0.007 0.017
Pt -3.307 -1.586 1.910
Pt -5.540 -2.606 5.881
Pt -7.582 2.165 -5.816
Pt -6.753 -6.853 2.041
Pt -9.460 4.863 0.803
Pt -10.968 2.280 0.845
Pt -5.111 3.568 8.979
Pt -8.828 2.717 6.536
Pt -8.201 3.709 15.132
Pt -6.148 -5.224 -0.334
Pt -4.956 1.596 4.538
Pt -3.141 2.672 0.313
Pt -6.852 -5.219 6.293
Pt -5.000 5.909 2.926
Pt -4.954 -0.806 10.141
Pt -3.708 -1.358 -2.211
Pt -7.511 5.441 -3.275
Pt -7.717 7.511 6.994
Pt -9.104 0.623 2.564
Pt -4.010 -2.729 -6.485
Pt -9.407 0.784 8.705
Pt -3.241 4.092 4.523
Pt -7.133 3.945 2.370
Pt -7.234 6.761 1.194
-- stop --

Retype the lines above from the one with "-3.327" to the one with "2.656" word for word.

Sb -0.116 -6.451 -3.327
Sb -4.938 -3.012 -1.319
Pt -2.405 -3.791 -0.447
Pt -0.045 -1.971 -4.058
Pt 4.284 -2.884 -5.592
Pt -5.422 -3.521 -4.018
Pt 2.276 -3.868 -0.461
Pt 0.895 -7.077 2.656